-- begin --
Below is Cs3Cd3In2 after structural relaxation, with properties calculated at the PBE level.

Calculated values
Symmetry: No. 63
Formation energy (meV per atom): -54
Magnetic moment (μB per cell): 0.000

Lattice parameters (Å, degrees): 7.6356 7.6356 19.8322 90.00 90.00 142.79
Closest atoms and distances in Å follow each position.
Fractional positions:
Cs 0.0570 0.9430 0.7500  5 Cd 3.75-4.20, 2 In 4.17, 2 Cs 4.19
Cs 0.1317 0.8683 0.5457  5 Cd 4.04-4.30, 3 In 4.14-4.36, 2 Cs 4.19-4.22
Cs 0.1317 0.8683 0.9543  5 Cd 4.04-4.30, 3 In 4.14-4.36, 2 Cs 4.19-4.22
Cs 0.8683 0.1317 0.0457  5 Cd 4.04-4.30, 3 In 4.14-4.36, 2 Cs 4.19-4.22
Cs 0.8683 0.1317 0.4543  5 Cd 4.04-4.30, 3 In 4.14-4.36, 2 Cs 4.19-4.22
Cs 0.9430 0.0570 0.2500  5 Cd 3.75-4.20, 2 In 4.17, 2 Cs 4.19
Cd 0.3165 0.6835 0.7500  4 In 2.96, 2 Cd 3.06
Cd 0.4138 0.5862 0.6130  1 Cd 3.06, 2 In 3.19
Cd 0.4138 0.5862 0.8870  1 Cd 3.06, 2 In 3.19
Cd 0.5862 0.4138 0.1130  1 Cd 3.06, 2 In 3.19
Cd 0.5862 0.4138 0.3870  1 Cd 3.06, 2 In 3.19
Cd 0.6835 0.3165 0.2500  4 In 2.96, 2 Cd 3.06
In 0.2077 0.7923 0.1668  4 Cd 2.96-3.19, 1 In 3.30
In 0.2077 0.7923 0.3332  4 Cd 2.96-3.19, 1 In 3.30
In 0.7923 0.2077 0.6668  4 Cd 2.96-3.19, 1 In 3.30
In 0.7923 0.2077 0.8332  4 Cd 2.96-3.19, 1 In 3.30

Below is Cs2Cd2In3 after structural relaxation, with properties calculated at the PBE level.

Calculated values
Symmetry: No. 12
Formation energy (meV per atom): 0
Magnetic moment (μB per cell): 0.000

Lattice parameters (Å, degrees): 6.9962 6.9962 8.6977 102.42 102.42 38.01
Closest atoms and distances in Å follow each position.
Fractional positions:
Cs 0.1431 0.1431 0.3450  5 Cd 3.64-3.96, 3 In 3.90-4.00
Cs 0.8569 0.8569 0.6550  5 Cd 3.64-3.96, 3 In 3.90-4.00
Cd 0.4251 0.4251 0.3202  3 In 3.10-3.16, 1 Cd 3.30
Cd 0.5749 0.5749 0.6798  3 In 3.10-3.16, 1 Cd 3.30
In 0.1799 0.1799 0.9010  2 Cd 3.10, 2 In 3.19
In 0.5000 0.5000 0.0000  2 Cd 3.16, 4 In 3.54
In 0.8201 0.8201 0.0990  2 Cd 3.10, 2 In 3.19

Below is CsCdIn3 after structural relaxation, with properties calculated at the PBE level.

Calculated values
Symmetry: No. 194
Formation energy (meV per atom): 46
Magnetic moment (μB per cell): 0.000

Lattice parameters (Å, degrees): 7.6827 7.6827 6.6445 90.00 90.00 120.00
Closest atoms and distances in Å follow each position.
Fractional positions:
Cs 0.3333 0.6667 0.2500  12 In 3.82-3.86
Cs 0.6667 0.3333 0.7500  12 In 3.82-3.86
Cd 0.0000 0.0000 0.0000  6 In 3.04, 2 Cd 3.32
Cd 0.0000 0.0000 0.5000  6 In 3.04, 2 Cd 3.32
In 0.1911 0.3821 0.7500  2 Cd 3.04, 2 In 3.28
In 0.1911 0.8089 0.7500  2 Cd 3.04, 2 In 3.28
In 0.3821 0.1911 0.2500  2 Cd 3.04, 2 In 3.28
In 0.6179 0.8089 0.7500  2 Cd 3.04, 2 In 3.28
In 0.8089 0.1911 0.2500  2 Cd 3.04, 2 In 3.28
In 0.8089 0.6179 0.2500  2 Cd 3.04, 2 In 3.28

What energy above the lowest structure with this stoichiometry values result from the calculations? In sequence: 8, 65, 135 meV/atom.
What raw total energy values result from the calculations? In sequence: -1.40, -1.68, -1.95 eV per atom.

~~~~~

Entry 1:
{"formula": "Li2Bi2P", "functional": "GGA-PBE", "state": "relaxed", "lattice": [[6.7381, 0.0000, 0.0000], [0.0000, 6.7381, 0.0000], [0.0000, 0.0000, 4.7896]], "species": ["Li", "Li", "Li", "Li", "Bi", "Bi", "Bi", "Bi", "P", "P"], "frac_coords": [[0.3459, 0.8459, 0.0000], [0.8459, 0.6541, 0.0000], [0.1541, 0.3459, 0.0000], [0.6541, 0.1541, 0.0000], [0.6677, 0.8323, 0.5000], [0.8323, 0.3323, 0.5000], [0.3323, 0.1677, 0.5000], [0.1677, 0.6677, 0.5000], [0.5000, 0.5000, 0.0000], [0.0000, 0.0000, 0.0000]], "crystal_system": "tetragonal", "sg": "P4/mbm", "volume_a3_per_cell": 217, "polymorph_energy_mev_per_atom": 0.0}



Entry 2:
-- stop --

Reproduce all of the entries further above with every line break kept, please.

Below is Cs3Cd3In2 after structural relaxation, with properties calculated at the PBE level.

Calculated values
Symmetry: No. 63
Formation energy (meV per atom): -54
Magnetic moment (μB per cell): 0.000

Lattice parameters (Å, degrees): 7.6356 7.6356 19.8322 90.00 90.00 142.79
Closest atoms and distances in Å follow each position.
Fractional positions:
Cs 0.0570 0.9430 0.7500  5 Cd 3.75-4.20, 2 In 4.17, 2 Cs 4.19
Cs 0.1317 0.8683 0.5457  5 Cd 4.04-4.30, 3 In 4.14-4.36, 2 Cs 4.19-4.22
Cs 0.1317 0.8683 0.9543  5 Cd 4.04-4.30, 3 In 4.14-4.36, 2 Cs 4.19-4.22
Cs 0.8683 0.1317 0.0457  5 Cd 4.04-4.30, 3 In 4.14-4.36, 2 Cs 4.19-4.22
Cs 0.8683 0.1317 0.4543  5 Cd 4.04-4.30, 3 In 4.14-4.36, 2 Cs 4.19-4.22
Cs 0.9430 0.0570 0.2500  5 Cd 3.75-4.20, 2 In 4.17, 2 Cs 4.19
Cd 0.3165 0.6835 0.7500  4 In 2.96, 2 Cd 3.06
Cd 0.4138 0.5862 0.6130  1 Cd 3.06, 2 In 3.19
Cd 0.4138 0.5862 0.8870  1 Cd 3.06, 2 In 3.19
Cd 0.5862 0.4138 0.1130  1 Cd 3.06, 2 In 3.19
Cd 0.5862 0.4138 0.3870  1 Cd 3.06, 2 In 3.19
Cd 0.6835 0.3165 0.2500  4 In 2.96, 2 Cd 3.06
In 0.2077 0.7923 0.1668  4 Cd 2.96-3.19, 1 In 3.30
In 0.2077 0.7923 0.3332  4 Cd 2.96-3.19, 1 In 3.30
In 0.7923 0.2077 0.6668  4 Cd 2.96-3.19, 1 In 3.30
In 0.7923 0.2077 0.8332  4 Cd 2.96-3.19, 1 In 3.30

Below is Cs2Cd2In3 after structural relaxation, with properties calculated at the PBE level.

Calculated values
Symmetry: No. 12
Formation energy (meV per atom): 0
Magnetic moment (μB per cell): 0.000

Lattice parameters (Å, degrees): 6.9962 6.9962 8.6977 102.42 102.42 38.01
Closest atoms and distances in Å follow each position.
Fractional positions:
Cs 0.1431 0.1431 0.3450  5 Cd 3.64-3.96, 3 In 3.90-4.00
Cs 0.8569 0.8569 0.6550  5 Cd 3.64-3.96, 3 In 3.90-4.00
Cd 0.4251 0.4251 0.3202  3 In 3.10-3.16, 1 Cd 3.30
Cd 0.5749 0.5749 0.6798  3 In 3.10-3.16, 1 Cd 3.30
In 0.1799 0.1799 0.9010  2 Cd 3.10, 2 In 3.19
In 0.5000 0.5000 0.0000  2 Cd 3.16, 4 In 3.54
In 0.8201 0.8201 0.0990  2 Cd 3.10, 2 In 3.19

Below is CsCdIn3 after structural relaxation, with properties calculated at the PBE level.

Calculated values
Symmetry: No. 194
Formation energy (meV per atom): 46
Magnetic moment (μB per cell): 0.000

Lattice parameters (Å, degrees): 7.6827 7.6827 6.6445 90.00 90.00 120.00
Closest atoms and distances in Å follow each position.
Fractional positions:
Cs 0.3333 0.6667 0.2500  12 In 3.82-3.86
Cs 0.6667 0.3333 0.7500  12 In 3.82-3.86
Cd 0.0000 0.0000 0.0000  6 In 3.04, 2 Cd 3.32
Cd 0.0000 0.0000 0.5000  6 In 3.04, 2 Cd 3.32
In 0.1911 0.3821 0.7500  2 Cd 3.04, 2 In 3.28
In 0.1911 0.8089 0.7500  2 Cd 3.04, 2 In 3.28
In 0.3821 0.1911 0.2500  2 Cd 3.04, 2 In 3.28
In 0.6179 0.8089 0.7500  2 Cd 3.04, 2 In 3.28
In 0.8089 0.1911 0.2500  2 Cd 3.04, 2 In 3.28
In 0.8089 0.6179 0.2500  2 Cd 3.04, 2 In 3.28

What energy above the lowest structure with this stoichiometry values result from the calculations? In sequence: 8, 65, 135 meV/atom.
What raw total energy values result from the calculations? In sequence: -1.40, -1.68, -1.95 eV per atom.

~~~~~

Entry 1:
{"formula": "Li2Bi2P", "functional": "GGA-PBE", "state": "relaxed", "lattice": [[6.7381, 0.0000, 0.0000], [0.0000, 6.7381, 0.0000], [0.0000, 0.0000, 4.7896]], "species": ["Li", "Li", "Li", "Li", "Bi", "Bi", "Bi", "Bi", "P", "P"], "frac_coords": [[0.3459, 0.8459, 0.0000], [0.8459, 0.6541, 0.0000], [0.1541, 0.3459, 0.0000], [0.6541, 0.1541, 0.0000], [0.6677, 0.8323, 0.5000], [0.8323, 0.3323, 0.5000], [0.3323, 0.1677, 0.5000], [0.1677, 0.6677, 0.5000], [0.5000, 0.5000, 0.0000], [0.0000, 0.0000, 0.0000]], "crystal_system": "tetragonal", "sg": "P4/mbm", "volume_a3_per_cell": 217, "polymorph_energy_mev_per_atom": 0.0}



Entry 2: